The behavior of selenium compounds, ranging from being essential to highly toxic has enhanced the interest in understanding its fate in water, soil and biota. Selenate and selenite are the dominant bioavailable forms of selenium in soil and can be reduced and/or methylated through microbiological processes that drive reduction and methylation processes (Stolz et al. 2002) Over the last two decades there has been considerable interest in microbial removal of Se oxyanions [i.e. selenate (SeO4 2−) and selenite (SeO3 2−)] to volatile forms such as dimethyl selenide (DMSe) and dimethyl diselenide (DMDSe) and insoluble forms viz., elemental selenium (Se0) (Dungan and Frankenberger 2001). The understanding of mechanisms underlying bacterial assimilation and removal of selenium prerequisites the information on phenotypic and phylogenetic characterization of species involved (de Souza et al. 2001; Ghosh et al. 2008).

The present study attempts to characterize and examine the viability of four selenium tolerant rhizosphere aerobic bacterial isolates in soils supplemented with selenium oxyanions viz., selenate and selenite. The consortium of these isolates was examined for its potential to remove selenium supplemented soil at various concentrations in the form of selenate and selenite.

Materials and Methods

Selenium contaminated soil samples were collected from a seleniferous site bordering the Nawanshahr-Hoshiarpur region in North-west India (75°55 E; 31°56 N). Aerobic bacterial strains were isolated using repeated enrichment technique at 37°C in SeO3 2− and SeO4 2− supplemented tryptic soy agar (TSA-HiMedia). Red colonies, indicating reduction of Se oxyanions, were re-streaked on TSA without Se to confirm that the colour was not due to pigmentation. The pure cultures were isolated and maintained on Se supplemented plates. Four strains, observed to be tolerant up to 100 μg/g Se, were picked for constituting as a consortium for microcosm studies.

# Between two parts of the piece: records of crystals
+++
Entry from Materials Project: crystalline WO3 at its relaxed geometry (GGA+U).

The structure in extended XYZ format:
```
40
Lattice="-10.683 -4.758 -3.963 4.935 -1.769 -11.180 1.175 -3.536 1.078" Properties=species:S:1:pos:R:3 pbc="T T T"
O -1.503 -6.632 -13.202
O -0.866 -4.968 -8.358
O -5.980 -6.683 -8.351
O 1.419 -3.417 -5.703
O -3.149 -6.554 -11.084
O -3.081 -3.397 -0.874
O -3.918 -5.414 -13.454
O 4.259 -5.301 -8.098
O 2.487 -0.942 -5.573
O -5.148 -7.722 -12.747
O -0.632 -5.642 -10.905
O -6.402 -6.020 -5.785
O -1.097 -4.233 -5.719
O 0.573 -2.336 -1.320
O -8.349 -7.136 -7.256
O -1.424 -3.510 -2.981
O -3.478 -5.826 -8.347
O -3.705 -5.102 -5.705
O -4.294 -7.640 -6.449
O -3.064 -2.537 -4.949
O -4.186 -5.858 -0.921
O -8.242 -5.971 -3.608
O 3.671 -4.100 -10.455
O 3.788 -2.963 -6.798
O -3.953 -4.387 -3.170
O -7.661 -8.284 -4.893
O 1.830 -4.045 -8.279
O -1.825 -1.129 -1.684
O -2.679 -4.007 -10.189
O 0.891 -5.945 -6.542
W -2.459 -4.367 -4.390
W -8.271 -6.456 -5.453
W 0.284 -4.115 -7.098
W -3.307 -7.243 -12.898
W -2.068 -5.836 -9.632
W 3.652 -3.470 -8.654
W -1.219 -2.960 -1.125
W 3.105 -2.802 -5.005
W -4.903 -5.811 -7.009
W -4.804 -3.998 -1.488
```

## Properties
The formation energy comes out at -2.18 eV/atom. The calculation puts the total energy at -7.507 eV/atom.

***

Entry from Materials Project: crystalline W3O7 at its relaxed geometry (GGA+U).

The structure in extended XYZ format:
```
20
Lattice="3.858 0.000 0.000 0.000 6.361 0.000 0.000 0.000 11.642" Properties=species:S:1:pos:R:3 pbc="T T T"
W 1.892 3.180 8.467
W 1.877 0.000 5.821
W 1.981 3.180 0.000
W 1.966 0.000 2.646
W 1.892 3.180 3.176
W 1.966 0.000 8.997
O 0.039 3.180 0.000
O 1.906 5.037 7.409
O 3.833 3.180 3.349
O 1.952 4.504 1.588
O 1.906 5.037 4.233
O 0.025 0.000 9.170
O 1.952 4.504 10.055
O 1.906 1.323 4.233
O 1.906 1.323 7.409
O 0.025 0.000 2.472
O 1.952 1.857 10.055
O 3.819 0.000 5.821
O 3.833 3.180 8.294
O 1.952 1.857 1.588
```

## Properties
The formation energy comes out at -2.00 eV/atom. The spin magnetization comes out at 4.00 μB/f.u. The calculation puts the total energy at -7.538 eV/atom.

***

Q: What is the total energy in the first record?
A: -7.507 eV/atom

***

Q: Which of these has the lowest total energy?
A: W3O7


(1)
A plane-wave DFT calculation with PBE with a Hubbard U was carried out for a geometry-optimized K2MoSeO6 structure.

abc: 6.294 15.556 7.775
angles: 90.00 112.68 90.00
Sites, in units of the cell vectors:
K (0.106, 0.054, 0.313)
K (0.106, 0.446, 0.813)
K (0.358, 0.698, 0.111)
K (0.358, 0.802, 0.611)
K (0.642, 0.198, 0.389)
K (0.642, 0.302, 0.889)
K (0.894, 0.554, 0.187)
K (0.894, 0.946, 0.687)
Mo (0.461, 0.063, 0.817)
Mo (0.461, 0.437, 0.317)
Mo (0.539, 0.563, 0.683)
Mo (0.539, 0.937, 0.183)
Se (0.102, 0.174, 0.878)
Se (0.102, 0.326, 0.378)
Se (0.898, 0.674, 0.622)
Se (0.898, 0.826, 0.122)
O (0.049, 0.229, 0.277)
O (0.049, 0.271, 0.777)
O (0.105, 0.104, 0.698)
O (0.105, 0.396, 0.198)
O (0.291, 0.520, 0.492)
O (0.291, 0.980, 0.992)
+++

Morphological analysis, gram staining and biochemical characterization were carried out applying standard protocols (Krieg et al. 1984). Fatty acid methyl esters (FAMEs) were characterized in these strains at the Microbial Type Culture Collection (MTCC-IMTECH), Chandigarh, India using protocol as described by Pandey et al. (2002) and analyzed with Sherlock Microbial Identification Systems software (MIDI, USA).

Culture was grown in Luria broth overnight and DNA was isolated using standard protocols PCR amplication (Genamp PCR system, Applied Biosystem, USA) of 16S rRNA region was carried out using 16 S–F (5′-AGAGTTTGATCCTGGCTCAG-3′) and 16 S-R (5′-ACGGGCGGTGTGTTC-3′) universal primers (Sambrook et al. 1989; Weisberg et al. 1991). The sequence for cloned genes was then generated using sequencing system (Applied Biosystems) at the DNA sequencing facility, University of Delhi, India. Sequence data from 16S rRNA genes was used to perform a preliminary phylogenetic analysis. The 16S rRNA sequence of SNTP-1, NS-2, NS-3 and NS-4 were compared with other sequences in GenBank using BLAST ( The alignment was carried out with CLUSTALW and only un-ambiguous alignments were used in the phylogenetic analysis. Phylogenetic analysis was done using MEGA 4.0 following UPGMA method with bootstrap corrections (Tamura et al. 2007).

The conditions of the microcosm experiment such as soil moisture content and inoculum size were standardized, and the efficacy of the consortia for removal of Se oxyanions in soil was then tested. Soil samples (100 g of sandy loam with pH 7.3 ± 0.2; organic carbon, 0.273 ± 0.0008%; available phosphorus, 42.40 ± 2.43 mg/l; total nitrogen, 1568.0 ± 550.7 mg/l) were treated with selenate and selenite (2.5, 5.0 and 7.5 mg/kg soil). The consortium containing inoculum of the four Bacilli strains was grown in Luria broth (100 ml), harvested at log phase, and re-suspended in basal medium (10 ml).

Microcosm was prepared with un-autoclaved soils supplemented with 2.5, 5.0 and 7.5 mg/kg of selenate and selenite. These were inoculated with standardized cell concentration of 3.9 × 109 cells/g soil. Moisture content of soils was maintained at 30% throughout the experiments. Antibiotic profiles of the isolates were studied to select the marker for screening of inoculated microorganisms from indigenous soil bacteria. Survival of populations of inoculated strains was also assessed by antibiotic plating and the rate of removal was estimated based on difference between the initial concentrations of augmented Se to that of residual concentration at different intervals in percentage.

Selenium estimation was carried out using instrumental neutron activation analysis at Bhabha Atomic Research Centre, Mumbai, India. The soil samples were dried at 40°C for 2–3 days for removal of moisture and were ground in mortar pestle. The samples were sieved using 0.2 mm mesh. Samples were air dried followed by oven at 40°C for 48 h before irradiation. IAEA SL-1 (sludge multi-element; Se concentration: 7.34 ± 0.18) and NRCC CRM DOLT-1 (Dogfish liver standard; Se concentration: 2.90 ± 0.08) were used as standards. Samples and reference materials weighing about 100 mg were packed in thin aluminum foils. The samples, the reference materials and blank silica were introduced into Harwell cans and irradiated in self-server position of CIRUS reactor (Bhabha Atomic Research Centre, Mumbai, India) for 7 h duration at a neutron flux of ~1013 cm−2s−1. The samples were allowed to cool for about ten days before radioactive assay and the samples were counted for 1–10 h depending on selenium concentration levels. The gamma-ray spectrometric measurements were carried out using a Compton suppressed spectrometer consisting of HPGe-BGO detector systems coupled to PC based 8 k MCA card (PHAST-BARC-India). The resolution of detector was 2.0 keV at 1332 keV of 60Co. The peak areas were determined using peak-fit software PHAST. Relative method of NAA was used to calculate Se concentrations in the sample (Lin et al. 1997).

Results and Discussion

The soil samples examined from the Se-impacted pockets of agricultural lands were found to be alkaline and Se levels averaging at 6.5 mg/kg which was above the stipulated level in agricultural soils i.e., 4.0 mg/kg (Sharma et al. 2009). Four aerobic isolates prominent in Se oxyanions reduction were selected and designated as SNTP-1, NS-2, NS-3 and NS-4. Morphological and biochemical characteristics were examined for isolates which indicated that three of the four strains were consistent with that of typical facultative anaerobic bacteria. The isolate, NS-3 showed negative results in catalase and nitrate test which was attributed to the absence of facultative anaerobic nature. Isolates were also found to be methyl red negative (acid production) and nitrate positive i.e. capable of anaerobic respiration. These observations corresponded with that of studies on characteristics of genus Bacillus (Foldes et al. 2001).

Homology analysis of 16S rRNA provides suitable genetic data that could be used to determine both close and very distant relationships (Bull et al. 1992). BLAST homology search for 16S rRNA gene sequences of isolates indicated 98–99% similarity with their closest matches. The sequences were compared with that of the published sequences of Bacilli and other distantly related strains available in the NCBI database. The 16S rRNA gene sequence of SNTP-1 showed 100% similarity with Bacillus pumilus, thus clustered along with other B. pumilus sequences. The 16S rRNA gene sequences determined for isolates under study were deposited in GenBank of NCBI data library under accession numbers SNTP1 (EU532490), NS-2 (EU622629), NS-3 (EU573774) and NS-4 (EU622630). The sequences of strains NS-2, NS-3 and NS-4 showed broad identity B. cereus and B. thuringiensis. A phylogenetic dendrogram was drawn following UPGMA method. The tree shows that the sequences of the test strains clearly belong to Bacilli clade consisting the closely similar sequences mentioned above (Fig. 1).

Fig. 1
figure 1

Phylogenetic tree based on UPGMA for 16S rRNA gene sequences of strains SNTP-1, NS-2, NS-3, NS-4 along with similar Bacilli strains. Numbers at nodes represent bootstrap values (500 replicates). Scale bar represents substitutions per nucleotide position

Species of Bacilli are divided into six groups (A–F) based on the FAME studies (Kaneda 1977). The dominant cellular fatty acids present in four isolates were 13-methyltetradacanoin (iso-C15:O)—44.32% (SNTP-1), 26.38% (NS-2), 20.12% (NS-3), 30.52% (NS-4) followed by 12-Methyltetradecanoic (anteiso-C15) -35.07% (SNTP-1), 4.57% (NS-2), 5.91% (NS-3). Strains NS-2, NS-3 and NS-4 belong to Kaneda group E (B. anthracis, B. cereus, B. thuringiensis) in which iso-C15:O (19–31%) occur as the most abundant fatty acid with small proportion of unsaturated fatty acids (7–12%). Identification of all isolates based on MIDI similarity indices obtained from TSBA50 5.00 version library match showed all isolates belong to Bacilli group and SNTP-1 showed close match with strain Bacillus pumillus strain and NS-3 with Bacillus cereus while NS-2 and NS-4 belongs to Bacillus sp.

In the present study, 2 antibiotics viz., nalidixic acid and carbenicillin did not inhibit the growth of bacteria at concentration of up to 90 mcg and 300 mcg respectively, indicating resistance of the isolates to these antibiotics. Resistance to a group of selective antibiotics can effectively be used as a screening factor to track the survival rate of isolate present amongst the native bacteria (Lawrence 2000). Keeping this in view, resistance of the isolates to carbenicillin, was used as an antibiotic marker for microcosm studies.

In soil microcosm studies, observations on population survival based on carbenicillin resistance, showed an increase in colony forming units (CFU) in all treatments from 40 to 120 days studies. The microbial population in microcosm exposed to 7.5 mg/kg selenite did not vary (5.7; 6.1 and 5.6 (×105) cfu/gm) significantly across the duration of 40, 80 and 120 days (Fig. 2a, b).

Fig. 2
figure 2

Rate of selenium removal [a selenite and b selenate] and corresponding viability of the consortia in soils supplemented with 7.5 mg/kg of Se. The gray tone and white tone in graphs represent CFU count and rate of removal (%), respectively. NI represents soils without inoculum of consortia and I represents soils augumented with inoculum

Across all treatments, maximum survival rate was observed in soil supplemented with 2.5 mg/kg during 120 day period. The corresponding trends in selenium removal over time, on exposure to 7.5 mg/kg of selenium oxyanions, are also represented in Fig. 2a, b. Determination of Se concentration in soils supplemented with 2.5 mg/kg selenite revealed 32%, 52% and almost complete removal of Se across 40, 80 after 120 days as compared to control (without inoculum) in which it was 40% after 120 days. Similarly, the extent of removal of Se from soils was observed to be near complete in inoculated soils supplemented with 5 mg/kg of selenite where as in control soils with same level of Se supplementation it was 26% after 120 days. At 7.5 mg/kg of selenite, the level of removal was relatively less with only 80% when compared to initial concentration. In inoculated soils treated with 2.5 mg/kg of selenate, the removal was 24% at 40 days increasing to 60% at 120 days as compare to control which was 28% after 120 days. The rate of removal followed a similar trend even in soils supplemented with 5.0 mg/kg and 7.5 mg/kg.

The observations, thus, present an insight on the characteristics of four selenium tolerant isolates obtained from the seleniferous soils. Phylogenetic studies revealed that isolates were belonging to Bacilli group. During soil removal studies, the consortium of these isolates was able to effectively remove Se from soils contaminated with selenium oxyanions along with increase in survival rate of inoculated consortia with time. High rate of removal was achieved in soils augmented with selenite as compare to selenate, indicating better bioaccessibility of selenite over selenate to soil microbiota.

Microorganisms can mobilize and remove metals/metalloids through diverse variety of mechanisms (Gadd 2004). They can take up the elements and accumulate them in their biomass via intracellular sequestration or precipitation, or adsorb them onto cell walls and exopolymers released into their surroundings (Zaidi and Musarrat 2004). Similarly, the fate of selenium in contaminated soils is linked to the activity of soil bacteria, which is the primary method by which soluble and biologically active forms of selenium can be effectively assimilated and removed from ambient environment (Stolz et al. 2002), as observed in the present study. The role of rhizosphere processes in removal of inorganic contaminants, with the exception of some studies regarding selenium, is largely unexplored and needs to be addressed before the potential of this approach can be properly evaluated. Soil microorganisms are known to convert some metals and metalloids (i.e. arsenic, boron, antimony, selenium, tin, tellurium, lead, mercury) to their volatile species. In the case of selenium, the volatile methylated species are less toxic than inorganic forms (Wilber 1980). This microbial conversion is usually considered as a detoxification mechanism by which the microorganisms decrease the toxicity of the surrounding microenvironment. However, the use of micro-organisms for bioremediation requires an understanding of all physiological, microbiological, ecological, biochemical and molecular aspects involved in pollutant transformation (Iranzo et al. 2001). This study augments to limited reports available on selenium reduction potential of microbial strains and consortia from seleniferous tropical soils.